University 规则 of Conduct
'''
VASP calculation (GGA-PBE) on a relaxed Tb4Te3N2 crystal.

abc: 7.3549 11.7348 11.0808
angles: 90.00 90.00 90.00
Fractional coordinates of all 36 atoms:
Tb 0.0248 0.0916 0.1772
Tb 0.0248 0.4084 0.3228
Tb 0.1628 0.6531 0.1180
Tb 0.1628 0.8469 0.3820
Tb 0.3372 0.1531 0.3820
Tb 0.3372 0.3469 0.1180
Tb 0.4752 0.5916 0.3228
Tb 0.4752 0.9084 0.1772
Tb 0.5248 0.0916 0.8228
Tb 0.5248 0.4084 0.6772
Tb 0.6628 0.6531 0.8820
Tb 0.6628 0.8469 0.6180
Tb 0.8372 0.1531 0.6180
Tb 0.8372 0.3469 0.8820
Tb 0.9752 0.5916 0.6772
Tb 0.9752 0.9084 0.8228
Te 0.1307 0.1612 0.9176
Te 0.1307 0.3388 0.5824
Te 0.2500 0.0000 0.6090
Te 0.2500 0.5000 0.8910
Te 0.3693 0.6612 0.5824
Te 0.3693 0.8388 0.9176
Te 0.6307 0.1612 0.0824
Te 0.6307 0.3388 0.4176
Te 0.7500 0.0000 0.3910
Te 0.7500 0.5000 0.1090
Te 0.8693 0.6612 0.4176
Te 0.8693 0.8388 0.0824
N 0.1576 0.2500 0.2500
N 0.2500 0.0000 0.2746
N 0.2500 0.5000 0.2254
N 0.3424 0.7500 0.2500
N 0.6576 0.2500 0.7500
N 0.7500 0.0000 0.7254
N 0.7500 0.5000 0.7746
N 0.8424 0.7500 0.7500

Computed properties:
- Energy of formation: -14.7 eV/f.u.



VASP calculation (GGA-PBE) on a relaxed Tc3N crystal.

abc: 2.8206 2.8206 7.0992
angles: 90.00 90.00 120.00
Fractional coordinates of all 4 atoms:
Tc 0.0000 0.0000 0.0000
Tc 0.6667 0.3333 0.3037
Tc 0.6667 0.3333 0.6963
N 0.0000 0.0000 0.5000

Computed properties:
- Energy of formation: -0.8 eV/f.u.



VASP calculation (GGA-PBE) on a relaxed TcN2 crystal.

abc: 4.8891 4.8891 4.8891
angles: 90.00 90.00 90.00
Fractional coordinates of all 12 atoms:
Tc 0.0000 0.0000 0.0000
Tc 0.0000 0.5000 0.5000
Tc 0.5000 0.0000 0.5000
Tc 0.5000 0.5000 0.0000
N 0.2500 0.2500 0.2500
N 0.2500 0.2500 0.7500
N 0.2500 0.7500 0.2500
N 0.2500 0.7500 0.7500
N 0.7500 0.2500 0.2500
N 0.7500 0.2500 0.7500
N 0.7500 0.7500 0.2500
N 0.7500 0.7500 0.7500

Computed properties:
- Energy of formation: 1.8 eV/f.u.
- Total magnetization: 1.6 Bohr magnetons per cell



VASP calculation (GGA-PBE) on a relaxed YTcN3 crystal.

abc: 4.0664 3.9956 7.3845
angles: 90.00 90.00 90.00
Fractional coordinates of all 10 atoms:
Y 0.0000 0.0000 0.0000
Y 0.0000 0.5000 0.5000
Tc 0.5000 0.0000 0.6945
Tc 0.5000 0.5000 0.1945
N 0.0000 0.0000 0.6793
N 0.0000 0.5000 0.1793
N 0.5000 0.1670 0.4133
N 0.5000 0.3330 0.9133
N 0.5000 0.6670 0.9133
N 0.5000 0.8330 0.4133

Computed properties:
- Energy of formation: -3.8 eV/f.u.
- Total magnetization: 0.0 Bohr magnetons per cell



VASP calculation (GGA-PBE) on a relaxed YTcN3 crystal.

abc: 7.3884 7.3884 6.2700
angles: 107.20 107.20 82.27
Fractional coordinates of all 20 atoms:
Y 0.0915 0.9085 0.7500
Y 0.2919 0.7081 0.2500
Y 0.7081 0.2919 0.7500
Y 0.9085 0.0915 0.2500
Tc 0.2039 0.3773 0.7811
Tc 0.3773 0.2039 0.2811
Tc 0.6227 0.7961 0.7189
Tc 0.7961 0.6227 0.2189
N 0.0048 0.2192 0.6619
N 0.1312 0.6245 0.8396
N 0.2192 0.0048 0.1619
N 0.3333 0.3641 0.0833
N 0.3641 0.3333 0.5833
N 0.3755 0.8688 0.6604
N 0.6245 0.1312 0.3396
N 0.6359 0.6667 0.4167
N 0.6667 0.6359 0.9167
N 0.7808 0.9952 0.8381
N 0.8688 0.3755 0.1604
'''
## The page goes on


  • 一经录取, a student assumes an obligation to conduct oneself in a manner compatible with the University’s functions as an educational institution. The word “student” includes all persons admitted or taking courses at 皇冠投注网, both full-time and part-time, pursuing undergraduate or graduate studies and those who attend post-secondary institutions other than 皇冠投注网 and reside in 皇冠投注网 residence halls. Students who are not officially enrolled for a particular term but who have a continuing relationship with the University are considered “students.”
  • 皇冠投注网 学生组织 are expected to adhere to institutional 规定. Failure to do so may result in student conduct action being initiated against the group; consequently, 政策, 程序, and sanctions set forth in this section apply to 学生组织 collectively, as well as to individual students. Officers of the 学生组织 are responsible for assuring compliance of all of their members with 规定 and for representation when student conduct proceedings are initiated against the group.
  • 规则, 政策, and guidelines should be read broadly and are not designed to define misconduct in exhaustive terms.
  • Students living in University-owned or approved housing shall comply with residence life rules and 规定 relating to fire, 健康, 安全, and maintenance standards, as well as with the terms and conditions of the residence and board agreement. (Please see 住房 Policies & 程序.) The 规则 of Conduct and the residential life guidelines and 规定 should be construed to complement each other.
  • The 规则 of Conduct shall apply to conduct that occurs on University premises, at University sponsored activities, and to off-campus conduct that adversely affects the University community and/or the pursuit of its objectives.
  • ​Students are also responsible for the behavior of their guests. Because the actions of guests also affect members of the 皇冠投注 community, students assume responsibility for those they host.
  • The conduct of a person who is a student and an employee may be reviewed under this system, 员工行为准则, 或两个, and may be subject to sanctions in both capacities.
  • A student may be found responsible for a violation of the 规则 of Conduct if they attempt, 促进, or engage in the prohibited conduct.

Misconduct for which students may be subject to sanctions falls into the following categories:

  1. Violation of the University’s published 政策, 规定, 或者规则包括, 但不限于, 那些管理欺侮的人, 学术诚信, 违规停车, 校园征集, 骚扰, 不正当的性行为, 学生组织, or University computing 政策.
  2. 教学中断, 研究, 行政, or student conduct 程序 or other University activities, including its public functions, or other authorized activities on or off University premises.
  3. Involvement in behavior that could or does result in physical injury, destruction of University property or that of a third party, or obstruction of the normal functioning of the University property.
  4. 企图或实际盗窃, unauthorized use or 占有 of University property or the property of others, 不诚实, or knowingly furnishing false information to the University.
  5. Violation of rules governing residential units or of those 规定 and guidelines established by the individual residential units.
  6. 物理, 精神, or verbal abuse of any person or any conduct that 威胁 or endangers the 健康 or 安全 of any such person.
  7. Unauthorized entry, occupancy, or use of University facilities.
  8. Conduct that is disorderly, reckless, intimidating, lewd, indecent, or obscene.
  9. 未经授权使用, 占有, 制造业, sale or distribution of illegal drugs, 吸毒用具, or any controlled substance except as expressly permitted by law.
____________
Record 1
{"formula": "Cs3Ge2Sb3O13", "functional": "GGA-PBE", "state": "optimized geometry", "ef_ev_per_atom": -2.07, "lattice_angstrom": [[5.4636, 4.3746, -2.4584], [-6.5522, 2.9444, 1.8522], [5.4374, 2.1225, 15.8610]], "species": ["Cs", "Cs", "Cs", "Cs", "Cs", "Cs", "O", "O", "O", "O", "O", "O", "O", "O", "O", "O", "O", "O", "O", "O", "O", "O", "O", "O", "O", "O", "O", "O", "O", "O", "O", "O", "Ge", "Ge", "Ge", "Ge", "Sb", "Sb", "Sb", "Sb", "Sb", "Sb"], "fractional_positions": [[0.3312, 0.6688, 0.2500], [0.0068, 0.9932, 0.6131], [0.0068, 0.9932, 0.8869], [0.9932, 0.0068, 0.1131], [0.6688, 0.3312, 0.7500], [0.9932, 0.0068, 0.3869], [0.4031, 0.2019, 0.9786], [0.2006, 0.7994, 0.0216], [0.7981, 0.5969, 0.5214], [0.7994, 0.2006, 0.9784], [0.5346, 0.0675, 0.3816], [0.5969, 0.7981, 0.4786], [0.7994, 0.2006, 0.5216], [0.6715, 0.3285, 0.2500], [0.2006, 0.7994, 0.4784], [0.5335, 0.4665, 0.3809], [0.0675, 0.5346, 0.8816], [0.9325, 0.4654, 0.3816], [0.4654, 0.9325, 0.6184], [0.4654, 0.9325, 0.8816], [0.4665, 0.5335, 0.8809], [0.5346, 0.0675, 0.1184], [0.7981, 0.5969, 0.9786], [0.4031, 0.2019, 0.5214], [0.4665, 0.5335, 0.6191], [0.9325, 0.4654, 0.1184], [0.0675, 0.5346, 0.6184], [0.5969, 0.7981, 0.0214], [0.5335, 0.4665, 0.1191], [0.2019, 0.4031, 0.4786], [0.3285, 0.6715, 0.7500], [0.2019, 0.4031, 0.0214], [0.6667, 0.3333, 0.3532], [0.6667, 0.3333, 0.1468], [0.3333, 0.6667, 0.8532], [0.3333, 0.6667, 0.6468], [0.0000, 0.5000, 0.5000], [0.5000, 0.0000, 0.5000], [0.5000, 0.0000, 0.0000], [0.0000, 0.5000, 0.0000], [0.5000, 0.5000, 0.0000], [0.5000, 0.5000, 0.5000]]}

Record 2
{"formula": "Ag", "functional": "GGA-PBE", "state": "optimized geometry", "de_polymorph_mev_per_atom": 8, "ef_ev_per_atom": 0.01, "lattice_angstrom": [[-2.9073, 0.3252, 0.4000], [1.0102, -1.9697, -1.9540], [0.0968, -3.3535, 3.4305]], "species": ["Ag", "Ag"], "fractional_positions": [[0.6667, 0.3333, 0.7500], [0.3333, 0.6667, 0.2500]]}

Record 3
{"formula": "Y3AlFeS7", "functional": "GGA-PBE", "state": "optimized geometry", "ef_ev_per_atom": -1.85, "lattice_angstrom": [[4.7585, -8.2420, 0.0000], [4.7585, 8.2420, 0.0000], [0.0000, 0.0000, 6.1960]], "species": ["Y", "Y", "Y", "Y", "Y", "Y", "S", "S", "S", "S", "S", "S", "S", "S", "S", "S", "S", "S", "S", "S", "Al", "Al", "Fe", "Fe"], "fractional_positions": [[0.2216, 0.3745, 0.2772], [0.1529, 0.7784, 0.2772], [0.7784, 0.6255, 0.7772], [0.3745, 0.1529, 0.7772], [0.8471, 0.2216, 0.7772], [0.6255, 0.8471, 0.2772], [0.0889, 0.5189, 0.0040], [0.3333, 0.6667, 0.4888], [0.5189, 0.4300, 0.5040], [0.7848, 0.9083, 0.6745], [0.9083, 0.1235, 0.1745], [0.8765, 0.7848, 0.1745], [0.9111, 0.4811, 0.5040], [0.5700, 0.0889, 0.5040], [0.2152, 0.0917, 0.1745], [0.4300, 0.9111, 0.0040], [0.6667, 0.3333, 0.9888], [0.1235, 0.2152, 0.6745], [0.4811, 0.5700, 0.0040], [0.0917, 0.8765, 0.6745], [0.3333, 0.6667, 0.8498], [0.6667, 0.3333, 0.3498], [0.0000, 0.0000, 0.4291], [0.0000, 0.0000, 0.9291]]}

Record 4
____________
  10. 未经授权使用 or 占有 of explosives, 枪支, 鞭炮, 烟花, 彩弹枪, 其他武器, or dangerous chemicals on University owned or controlled property, 或使用任何此类物品, even if legally possessed, 以一种有害的方式, 威胁, 或者给别人带来恐惧.
  11. The use of any form of tobacco, nicotine or vaping/smoking device, in violation of the 皇冠投注网 Smoke/Vape/Nicotine Free Policy.
  12. Failure to comply with directions of University officials acting in the performance of their duties.
  13. 使用, 占有, 制造业 or distribution of alcoholic beverages except as expressly permitted by law and/or 皇冠投注网 规定, 或者在公共场合醉酒.
_These materials data were left in the piece by mistake_
/*
# 1
The following is a PBE calculation of crystalline NaMg2H3S2O8 at its relaxed geometry, from the Materials Project database.

Unit cell a=6.395 b=7.927 c=9.018 alpha=97.58 beta=110.70 gamma=113.57
Space group P-1 (No. 2)
Asymmetric unit:
Na 0.041 0.169 0.406 x2
Mg 0.000 0.000 0.000 x1
Mg 0.320 0.827 0.313 x2
Mg 0.500 0.000 0.000 x1
H 0.040 0.559 0.772 x2
H 0.113 0.719 0.004 x2
H 0.209 0.440 0.226 x2
S 0.270 0.253 0.792 x2
S 0.434 0.704 0.663 x2
O 0.002 0.803 0.332 x2
O 0.115 0.516 0.215 x2
O 0.215 0.855 0.074 x2
O 0.228 0.085 0.872 x2
O 0.290 0.248 0.222 x2
O 0.320 0.753 0.778 x2
O 0.371 0.204 0.671 x2
O 0.471 0.864 0.577 x2

Computed properties:
Formation energy (meV/atom): -2037

***

# 2
The following is a PBE calculation of crystalline AlCr4CuSe8 at its relaxed geometry, from the Materials Project database.

Unit cell a=10.571 b=10.571 c=10.571 alpha=90.00 beta=90.00 gamma=90.00
Space group F-43m (No. 216)
Asymmetric unit:
Al 0.000 0.000 0.000 x4
Cr 0.121 0.121 0.379 x16
Cu 0.250 0.250 0.750 x4
Se 0.117 0.117 0.617 x16
Se 0.134 0.134 0.134 x16

Computed properties:
Formation energy (meV/atom): -842

***

# 3
The following is a PBE calculation of crystalline Sr11In3Ga4 at its relaxed geometry, from the Materials Project database.

Unit cell a=17.458 b=17.458 c=17.458 alpha=90.00 beta=90.00 gamma=90.00
Space group Fm-3m (No. 225)
Asymmetric unit:
Sr 0.000 0.000 0.000 x4
Sr 0.000 0.000 0.500 x4
Sr 0.000 0.168 0.168 x48
Sr 0.133 0.133 0.367 x32
In 0.000 0.000 0.283 x24
Ga 0.194 0.194 0.194 x32

Computed properties:
Formation energy (meV/atom): -356

***

# 4
The following is a PBE calculation of crystalline CeAlCo4 at its relaxed geometry, from the Materials Project database.

Unit cell a=5.0956 b=5.0956 c=3.8596 alpha=90.00 beta=90.00 gamma=120.00
Space group P-6m2 (No. 187)
Asymmetric unit:
Ce 0.0000 0.0000 0.0000 x1
Al 0.3333 0.6667 0.0000 x1
Co 0.5033 0.0067 0.5000 x3
Co 0.6667 0.3333 0.0000 x1

Computed properties:
Formation energy (meV/atom): -228

***

# 5
The following is a PBE calculation of crystalline Mg5Si9 at its relaxed geometry, from the Materials Project database.

Unit cell a=5.495 b=7.091 c=13.590 alpha=96.85 beta=100.56 gamma=107.86
Space group P1 (No. 1)
Asymmetric unit:
Mg 0.000 0.000 0.000 x1
Mg 0.009 0.409 0.949 x1
Mg 0.160 0.447 0.718 x1
Mg 0.371 0.102 0.219 x1
Mg 0.416 0.678 0.520 x1
Mg 0.434 0.788 0.085 x1
Mg 0.444 0.218 0.577 x1
Mg 0.563 0.555 0.923 x1
*/
_Back to the piece_
  14. Violation of any federal, state, or municipal law.